Work order =
What is needed: retype the lines further down from the one with "-0.94 2.24" to the one with "-9.216" unchanged.

Contents =
/*
(1)
Entry from the OMol25 dataset: C35H52N4PdS as an isolated structure at a distorted geometry (wB97M-V/def2-TZVPD).

Last column: Mulliken spin population.
Geometry (Å):
H1 3.14 -3.44 1.94  -0.0278
C1 -1.50 4.40 0.09  0.8224
H2 -2.16 3.70 -2.80  -0.0192
H3 -0.09 -2.73 0.02  -0.0688
N1 3.41 -0.78 -1.34  0.0417
C2 -2.31 -0.38 -2.76  1.6702
C3 -1.66 3.16 -0.79  -2.2921
N2 -2.16 2.03 0.09  0.9640
H4 4.94 0.78 0.15  0.0020
H5 -1.59 -0.58 3.86  0.1333
C4 -4.12 -0.92 2.90  1.4748
H6 -0.33 2.07 -2.08  -0.0543
H7 4.46 -3.67 -0.32  0.0383
C5 2.08 -3.48 1.67  -0.0509
H8 -1.88 -2.28 0.80  -0.0080
C6 0.43 -0.29 -2.79  -0.3685
C7 -1.58 0.98 0.73  -1.4016
H9 1.72 -0.29 4.53  0.1049
H10 0.11 -4.25 -0.95  -0.0079
H11 1.62 -4.32 2.19  -0.0055
H12 4.57 2.30 -0.70  -0.0047
H13 3.18 2.47 -2.36  -0.0317
C8 -0.26 -0.43 -1.60  1.1430
H14 0.23 0.08 -4.88  0.2725
C9 2.20 -1.27 -0.82  0.1970
H15 0.46 2.75 -0.67  -0.0423
H16 -0.73 -1.20 2.41  0.0776
C10 -0.90 2.53 4.22  -0.2168
H17 -4.14 -1.91 3.41  -0.0616
H18 -0.22 -0.23 6.17  0.0598
C11 2.37 -5.07 -0.28  -0.0850
H19 -5.02 -0.94 2.24  -0.1606
H20 1.65 -5.82 0.07  0.0228
C12 0.38 -3.72 -0.04  -0.0242
H21 1.52 -0.39 -2.76  -0.1487
C13 -0.13 0.51 5.35  -0.0347
H22 4.78 -0.12 -3.58  -0.0079
Pd1 0.60 -0.04 0.23  0.9648
C14 2.82 1.44 -2.38  0.0457
C15 -1.66 -1.19 2.97  0.5438
H23 -3.49 3.97 -1.68  -0.3342
H24 -0.89 4.19 0.96  0.0735
C16 4.44 -1.66 -1.16  -0.0373
H25 -4.78 1.02 1.74  0.5919
H26 -0.06 3.78 -1.96  0.1358
H27 3.28 1.41 0.14  0.0322
C17 -3.48 2.23 0.46  -0.1807
S1 1.91 0.76 1.98  0.7015
C18 0.22 2.49 3.39  0.6119
C19 -1.70 -0.14 -3.97  -1.8266
H28 -0.99 5.17 -0.50  -0.0222
H29 -4.09 3.02 0.00  0.1979
H30 -2.15 -0.87 -0.70  -0.3797
H31 -3.01 2.33 -2.24  0.2272
H32 -2.82 -0.95 -5.62  0.0298
H33 -2.44 4.85 0.40  -0.1268
H34 1.59 -2.55 1.99  0.0676
H35 -2.26 0.73 -5.90  -0.0064
H36 -3.57 0.41 -4.77  -0.0430
C20 0.95 1.28 3.32  0.1655
H37 0.55 3.30 2.77  0.0121
C21 -2.81 -0.82 2.07  -3.9062
H38 2.37 -5.14 -1.37  0.0083
H39 5.12 1.56 -3.21  0.0036
H40 1.89 1.46 -1.79  0.0534
C22 1.87 -3.70 0.18  0.1682
H41 -3.38 -0.38 -2.73  0.3457
H42 -1.93 1.60 5.91  -0.0551
C23 -0.30 -0.10 -3.97  0.7792
H43 -3.55 -1.77 0.26  -0.1396
C24 -1.61 -0.58 -1.59  -1.0399
C25 -1.10 1.52 5.18  0.4088
C26 4.20 1.30 -0.46  0.1032
H44 -4.23 -0.14 3.68  0.0862
C27 -2.67 3.31 -1.93  0.9358
H45 -0.01 -4.33 0.79  0.0252
H46 3.33 -5.37 0.15  -0.0061
C28 3.85 0.56 -1.75  -0.3718
C29 -3.82 1.21 1.26  -0.2358
H47 -1.85 -2.21 3.29  -0.0865
H48 -1.60 3.37 4.15  0.0771
H49 -3.32 -2.80 1.64  0.1857
C30 3.93 -2.78 -0.64  0.0614
C31 -2.62 0.03 -5.15  0.0985
H50 6.00 0.35 -2.32  0.0196
C32 0.93 0.44 4.46  0.1155
N3 2.57 -2.57 -0.51  -0.0706
N4 -2.67 0.48 1.46  1.3747
C33 -0.33 2.90 -1.39  0.5125
C34 5.01 0.56 -2.75  0.0938
C35 -2.88 -1.97 1.09  1.0699
H51 2.65 1.19 -3.43  0.0346
H52 5.48 -1.43 -1.34  0.0051

Values from the calculation:
- E_tot (eV) = -57405.626
- HOMO-LUMO gap (spin up / spin down) (eV) = 1.32 / 5.12
- net charge = -2
- HOMO energy (spin up / spin down) (eV) = 2.917 / -1.781
- spin multiplicity = 5
- ΔE to the lowest compared entry with this formula, charge and spin (kJ/mol) = 261.57


(2)
Entry from the OMol25 dataset: an isolated molecule of C2H3BrOS at a distorted geometry (wB97M-V/def2-TZVPD).

Last column: natural (NBO) charge in e.
Geometry (Å):
H1 1.40 -0.25 -0.74  0.2141
C1 -0.20 0.81 0.19  -0.1307
Br1 -1.64 1.03 -0.96  0.1694
H2 -0.94 -1.13 -0.93  0.4633
S1 -0.01 2.00 1.66  -0.0377
O1 -0.36 -1.48 -0.24  -0.6960
C2 0.61 -0.40 0.03  -0.2260
H3 1.16 -0.58 1.00  0.2436

Values from the calculation:
- E_tot (eV) = -85045.423
- HOMO-LUMO gap (spin up / spin down) (eV) = 7.71 / 7.71
- HOMO energy (spin up / spin down) (eV) = -9.216 / -9.216
- ΔE to the lowest compared entry with this formula, charge and spin (kJ/mol) = 195.69


(3)
Entry from the OMol25 dataset: a 2-piece molecular cluster, C4H9N2 overall at a distorted geometry (wB97M-V/def2-TZVPD).

Last column: natural (NBO) charge in e.
Geometry (Å):
*/

Here it is =
H19 -5.02 -0.94 2.24  -0.1606
H20 1.65 -5.82 0.07  0.0228
C12 0.38 -3.72 -0.04  -0.0242
H21 1.52 -0.39 -2.76  -0.1487
C13 -0.13 0.51 5.35  -0.0347
H22 4.78 -0.12 -3.58  -0.0079
Pd1 0.60 -0.04 0.23  0.9648
C14 2.82 1.44 -2.38  0.0457
C15 -1.66 -1.19 2.97  0.5438
H23 -3.49 3.97 -1.68  -0.3342
H24 -0.89 4.19 0.96  0.0735
C16 4.44 -1.66 -1.16  -0.0373
H25 -4.78 1.02 1.74  0.5919
H26 -0.06 3.78 -1.96  0.1358
H27 3.28 1.41 0.14  0.0322
C17 -3.48 2.23 0.46  -0.1807
S1 1.91 0.76 1.98  0.7015
C18 0.22 2.49 3.39  0.6119
C19 -1.70 -0.14 -3.97  -1.8266
H28 -0.99 5.17 -0.50  -0.0222
H29 -4.09 3.02 0.00  0.1979
H30 -2.15 -0.87 -0.70  -0.3797
H31 -3.01 2.33 -2.24  0.2272
H32 -2.82 -0.95 -5.62  0.0298
H33 -2.44 4.85 0.40  -0.1268
H34 1.59 -2.55 1.99  0.0676
H35 -2.26 0.73 -5.90  -0.0064
H36 -3.57 0.41 -4.77  -0.0430
C20 0.95 1.28 3.32  0.1655
H37 0.55 3.30 2.77  0.0121
C21 -2.81 -0.82 2.07  -3.9062
H38 2.37 -5.14 -1.37  0.0083
H39 5.12 1.56 -3.21  0.0036
H40 1.89 1.46 -1.79  0.0534
C22 1.87 -3.70 0.18  0.1682
H41 -3.38 -0.38 -2.73  0.3457
H42 -1.93 1.60 5.91  -0.0551
C23 -0.30 -0.10 -3.97  0.7792
H43 -3.55 -1.77 0.26  -0.1396
C24 -1.61 -0.58 -1.59  -1.0399
C25 -1.10 1.52 5.18  0.4088
C26 4.20 1.30 -0.46  0.1032
H44 -4.23 -0.14 3.68  0.0862
C27 -2.67 3.31 -1.93  0.9358
H45 -0.01 -4.33 0.79  0.0252
H46 3.33 -5.37 0.15  -0.0061
C28 3.85 0.56 -1.75  -0.3718
C29 -3.82 1.21 1.26  -0.2358
H47 -1.85 -2.21 3.29  -0.0865
H48 -1.60 3.37 4.15  0.0771
H49 -3.32 -2.80 1.64  0.1857
C30 3.93 -2.78 -0.64  0.0614
C31 -2.62 0.03 -5.15  0.0985
H50 6.00 0.35 -2.32  0.0196
C32 0.93 0.44 4.46  0.1155
N3 2.57 -2.57 -0.51  -0.0706
N4 -2.67 0.48 1.46  1.3747
C33 -0.33 2.90 -1.39  0.5125
C34 5.01 0.56 -2.75  0.0938
C35 -2.88 -1.97 1.09  1.0699
H51 2.65 1.19 -3.43  0.0346
H52 5.48 -1.43 -1.34  0.0051

Values from the calculation:
- E_tot (eV) = -57405.626
- HOMO-LUMO gap (spin up / spin down) (eV) = 1.32 / 5.12
- net charge = -2
- HOMO energy (spin up / spin down) (eV) = 2.917 / -1.781
- spin multiplicity = 5
- ΔE to the lowest compared entry with this formula, charge and spin (kJ/mol) = 261.57


(2)
Entry from the OMol25 dataset: an isolated molecule of C2H3BrOS at a distorted geometry (wB97M-V/def2-TZVPD).

Last column: natural (NBO) charge in e.
Geometry (Å):
H1 1.40 -0.25 -0.74  0.2141
C1 -0.20 0.81 0.19  -0.1307
Br1 -1.64 1.03 -0.96  0.1694
H2 -0.94 -1.13 -0.93  0.4633
S1 -0.01 2.00 1.66  -0.0377
O1 -0.36 -1.48 -0.24  -0.6960
C2 0.61 -0.40 0.03  -0.2260
H3 1.16 -0.58 1.00  0.2436

Values from the calculation:
- E_tot (eV) = -85045.423
- HOMO-LUMO gap (spin up / spin down) (eV) = 7.71 / 7.71
- HOMO energy (spin up / spin down) (eV) = -9.216 / -9.216